To Architect Now
This is the mandate: now you have to architect!
This said, the “performance anxiety” is the first and foremost symptom that is identifiable: YOU have to do something while YOU will be tested. Because there is someone else (spectator(s), inspector(s), judge(s)….) who is asking you to architect now.
NOW has a duration that is different from TODAY. “Present” and “contemporary” are words that express a duration according to a before and an after. There are no certainties about time; and NOW has been a time during which we have been given the chance to express and to demonstrate no certainties at all. For someone who is tested about doing something, the absence of certainties does not help: do whatever you want but do something because you have to!
The YOU asks: how much time do I have? The answer is: The time you have available to architect something, is something you have to decide about. So the YOU is free to decide.
There are interesting cases of persons who, while being expected to do something, take their time fooling around (The Thousands and One Night, 8 and ½ ……). And there are cases of persons who, being given no fixed time for doing something, takes a time with a very long duration. How about if I choose a today that will last forever?
The other interesting aspect of the mandate is the imposition: to HAVE TO. I might rebel against this imposition. Would the rebellion against it, be an acceptable fulfilment of the mandate?
The kernel is the liaison (trait d’union) between HAVE TO and TO ARCHITECT.
TO ARCHITECT means to know the principles (archè) upon which a certain kind of technique is based. This technique is the art of building. It is very positive that today we are gaining a vast context to situate what is the meaning of the term architecture and what an architect is meant to be doing. From metaphysical speculations, political activism, virtual imagination, global fiction, stage set design, rendering to real estate management and construction specification , the context is vast because the meaning of the word architecture is ALL-INCLUSIVE. It was originally formulated to mean basically everything; everything we can know in term of human technical dedication. And since the human exists only in term of technical dedication, architecture is the reasoning on the way we exists: the principles (archè) of our technics. To think that this technique is basically tectonic is certainly a good attempt to frame and limit the vastness of the context. But I believe that an architect should make the effort to refer to the mandate that the name implies. I believe so because this mandate is very important.
So, this is a more extensive formulation of the mandate: in a lapse of time that it is your task to define you must fulfil the task of knowing the principles upon which the art of building is based.
• Inserted here: calculated molecules:
┌──
# 1
Entry from the Open Molecules 2025 dataset: an isolated ion of composition C2HN2O2 and charge +1 at a distorted geometry (ωB97M-V/def2-TZVPD).

Values from the calculation:
- calculated total energy (Eh) = -336.21000
- HOMO level (spin up / spin down) (eV) = -15.97 / -15.26
- 2S+1 = 1
- energy relative to the best compared isomer or geometry (same formula, charge and spin) (kcal per mole) = 77.8
- strongest force on any atom (eV/Å) = 6.054
- gap between HOMO and LUMO (spin up / spin down) (eV) = 8.557 / 7.956
- total charge = +1

Structure (XYZ):
```
7
Properties=species:S:1:pos:R:3:forces:R:3
C -0.540 -1.216 1.560 -3.361 -0.922 1.689
C 0.117 1.369 -1.550 0.253 -0.058 -0.166
N 0.033 0.498 -0.695 -0.672 -0.469 1.575
N 0.542 -0.685 -0.443 1.618 1.223 -5.704
O 0.028 2.300 -2.190 0.123 0.467 -0.670
O 0.212 -1.027 0.680 1.326 -0.361 3.150
H -0.392 -1.239 2.638 0.712 0.120 0.126
```
Forces are in eV/Å.


# 2
Entry from the Open Molecules 2025 dataset: a 2-piece molecular cluster, C3H2O2S overall at a distorted geometry (ωB97M-V/def2-TZVPD).

Values from the calculation:
- calculated total energy (Eh) = -664.15256
- HOMO level (eV) = -9.48
- 2S+1 = 1
- energy relative to the best compared isomer or geometry (same formula, charge and spin) (kcal per mole) = 8.4
- strongest force on any atom (eV/Å) = 4.777
- gap between HOMO and LUMO (eV) = 10.015
- total charge = 0
- SMILES string = C=C=O.O=C=S

Structure (XYZ):
```
8
Properties=species:S:1:pos:R:3:forces:R:3
C 0.679 0.722 -0.454 3.558 -3.144 0.531
C -0.282 1.371 -0.927 -2.563 1.478 -0.657
O -1.231 1.890 -1.321 -0.680 0.691 -0.586
H 0.861 -0.263 -0.957 -0.005 1.111 0.537
H 1.265 0.995 0.411 -0.143 0.151 -0.213
O -0.148 -0.630 1.886 -0.469 0.479 0.221
C -0.461 -1.433 1.123 1.027 0.809 1.754
S -0.683 -2.652 0.240 -0.726 -1.574 -1.588
```
Forces are in eV/Å.


What is the formula in the first record?
C2HN2O2


Among the records above, which one has the lowest total charge?
C3H2O2S


What is the strongest force on any atom in the second record?
4.777 eV/Å

=====

[1]
└──
I rely on the possibility to define the symptomatology of the anxiety of the performance due to the cruelty of those in charge of the testing.
To let the anxiety being fully absorbed into the duration of the now the architect must practice a passage in time (hole) that is the stenosis of an hourglass.
The stenosis of an hourglass.